What to do.
Your job: type out every line underneath that contains the word "relaxed".

Listing.
<<<
A relaxed structure of MnPb2O4, computed with PBE+U.

Properties
Total DFT energy (no corrections), eV per atom: -6.218
Space-group type: No. 114
Piezoelectric modulus e_max, C/m2: 0.159

abc: 13.0854 13.0854 5.2455
angles: 90.00 90.00 90.00
Atoms (fractional coordinates):
Pb 0.5796 0.6234 0.2567
Pb 0.1234 0.0796 0.7567
Pb 0.3274 0.0058 0.2065
Pb 0.4204 0.3766 0.2567
Pb 0.9204 0.1234 0.2433
Pb 0.6726 0.9942 0.2065
Pb 0.4942 0.1726 0.7065
Pb 0.8766 0.9204 0.7567
Pb 0.5058 0.8274 0.7065
Pb 0.1726 0.5058 0.2935
Pb 0.8274 0.4942 0.2935
Pb 0.0058 0.6726 0.7935
Pb 0.9942 0.3274 0.7935
Pb 0.0796 0.8766 0.2433
Pb 0.3766 0.5796 0.7433
Pb 0.6234 0.4204 0.7433
O 0.5875 0.6851 0.8451
O 0.4125 0.3149 0.8451
O 0.2565 0.1761 0.9269
O 0.9125 0.1851 0.6549
O 0.6851 0.4125 0.1549
O 0.9421 0.7735 0.0999
O 0.7735 0.0579 0.9001
O 0.7797 0.6413 0.0667
O 0.4421 0.7265 0.4001
O 0.0875 0.8149 0.6549
O 0.3239 0.2435 0.4269
O 0.1413 0.2797 0.5667
O 0.2435 0.6761 0.5731
O 0.3149 0.5875 0.1549
O 0.6413 0.2203 0.9333
O 0.2265 0.9421 0.9001
O 0.5579 0.2735 0.4001
O 0.0579 0.2265 0.0999
O 0.8149 0.9125 0.3451
O 0.3587 0.7797 0.9333
O 0.2735 0.4421 0.5999
O 0.2203 0.3587 0.0667
O 0.7265 0.5579 0.5999
O 0.7435 0.8239 0.9269
O 0.7203 0.1413 0.4333
O 0.7565 0.3239 0.5731
O 0.8587 0.7203 0.5667
O 0.8239 0.2565 0.0731
O 0.1851 0.0875 0.3451
O 0.1761 0.7435 0.0731
O 0.6761 0.7565 0.4269
O 0.2797 0.8587 0.4333
Mn 0.1938 0.2290 0.2394
Mn 0.6938 0.2710 0.2606
Mn 0.2710 0.3062 0.7393
Mn 0.7290 0.6938 0.7393
Mn 0.7710 0.1938 0.7607
Mn 0.2290 0.8062 0.7607
Mn 0.3062 0.7290 0.2606
Mn 0.8062 0.7710 0.2394

~~~~~

Compound: Na2TiAgF6
Source: the Materials Project
Functional: PBE
Structure: optimized geometry

Results
As for the density: 3.2 g cm⁻³. The value obtained for the total energy is -4.961 eV per atom. As for the symmetry: No. 225. For the volume, the calculation gives 16.5 Å³ per atom.

a = 6.1581 Å, b = 6.1581 Å, c = 6.1581 Å
α = 60.00°, β = 60.00°, γ = 60.00°
Sites, in units of the cell vectors:
1 Ti 0.0000 0.0000 0.0000
2 F 0.7753 0.7753 0.2247
3 F 0.2247 0.7753 0.2247
4 F 0.2247 0.2247 0.7753
5 F 0.2247 0.7753 0.7753
6 F 0.7753 0.2247 0.7753
7 F 0.7753 0.2247 0.2247
8 Na 0.2500 0.2500 0.2500
9 Na 0.7500 0.7500 0.7500
10 Ag 0.5000 0.5000 0.5000

~~~~~

A relaxed structure of NdMn2Fe10. Source: Materials Project, functional GGA-PBE.

total magnetization: 1.47 μB per atom
DFT total energy: -214.0 eV/cell

a b c (Å): 4.667 8.431 8.540
angles (deg): 90.00 90.00 90.00
Space group Immm (No. 71)
Asymmetric unit:
Nd1 0.000 0.000 0.000
Mn1 0.000 0.000 0.374
Fe1 0.000 0.271 0.500
Fe2 0.000 0.360 0.000
Fe3 0.000 0.500 0.265
Fe4 0.250 0.250 0.250
>>>

Outcome.
A relaxed structure of MnPb2O4, computed with PBE+U.
A relaxed structure of NdMn2Fe10. Source: Materials Project, functional GGA-PBE.